View Full Version : 1993 Yamaha Seca II

10-15-2008, 03:06 PM
There is a Yamaha Seca II near me for sale on ebay that I am considering buying as an upgrade from the GZ. I was curious if anyone has any experience with these bikes and could comment on them.

Here is the description:

This was a great starter bike for me. Essentially a standard with a small fairing, so you can expect relatively comfortable ergonomics (sit more upright, tubular handlebars instead of clip-ons, etc.). With an air-cooled two valve per cylinder engine and basic brakes and suspension, don't confuse this with a modern sport bike. It actually accelerates quite well from a stop though. The tires need replaced soon but it's otherwise in good condition. The engine runs strong and sounds good despite its age. The valve cover is leaking a little on one side but oil NEVER accumulates beneath the bike. There are a few minor scratches on the paint and the fairing is missing a few screws but otherwise it's in good condition from a cosmetic standpoint. The styling is still attractive despite the age of the design. I've ridden it on the interstate but wouldn't recommend that for long trips as it's a light bike and gets blown around a bit and the fairing doesn't help much. It comes with a tank bra. No modifications have been done to this bike to date, but I've read a jet kit can add quite a bit of performance. The battery is brand new. Overall, the Seca II is a good value. My riding is all off-road now, so this bike isn't getting used much anymore. Let me know if you have any questions.

Although I've also heard that the engines are very reliable and last a long time, the mileage kind of concerns me. The oil leak concerns me, as well. The auction is only at $500 right now, will a Buy It Now price of $1200. I'm going to try to go take a look at the bike in person. It could be a great deal, though. If I can sell the GZ I could have a nice upgrade AND some extra cash.

So, any opinions, experience, etc about the bike you would like to share?

Edit: Also, what are everyone's opinions on substituting a different tires size on the rear tire? I've heard that the rear tire for the Seca II can be difficult to find (hmmm... sound familiar anyone? ;)).

Easy Rider
10-15-2008, 10:48 PM
There is a Yamaha Seca II near me for sale on ebay that I am considering buying as an upgrade from the GZ. I was curious if anyone has any experience with these bikes and could comment on them.

Doesn't feel good to me.
You should at least see pictures before you go any farther.
IIRC, I personally don't like the look of that model.

10-15-2008, 11:06 PM
I agree with Easy here. It seems very iffy on the specific details of the bike.

-- Unrelated to this piece: crystal structures --
~~~
Arrangement w

Computed, not measured: an optimized crystal structure of KHfI2O at the PBE-GGA level of DFT.

Cell: 6.0540 6.0540 4.0260 Å, 90.00 90.00 90.00°
With the nearest neighbours (Å) after each atom.
Positions (direct):
O 0.0000 0.0000 0.5000  2 Hf 2.01
I 0.0000 0.5000 0.0000  2 Hf 3.03
I 0.5000 0.0000 0.0000  2 Hf 3.03
Hf 0.0000 0.0000 0.0000  2 O 2.01
K 0.5000 0.5000 0.5000  8 I 3.64, 2 K 4.03

Computed properties:
SG: No. 123
Calculated density, Mg/m³: 5.5

Arrangement x

Computed, not measured: an optimized crystal structure of KHfI2O at the PBE-GGA level of DFT.

Cell: 6.0277 6.0277 4.1137 Å, 90.00 90.00 90.00°
With the nearest neighbours (Å) after each atom.
Positions (direct):
O 0.0000 0.0000 0.5000  2 K 2.06
Hf 0.5000 0.5000 0.5000  8 I 3.65
K 0.0000 0.0000 0.0000  2 O 2.06
I 0.0000 0.5000 0.0000  2 K 3.01
I 0.5000 0.0000 0.0000  2 K 3.01

Computed properties:
SG: No. 123
Calculated density, Mg/m³: 5.4

Stability check: which of them is least stable? arrangement x.

Arrangement w

Computed, not measured: an optimized crystal structure of KHfSbI2 at the PBE-GGA level of DFT.

Cell: 5.9181 5.9181 6.1206 Å, 90.00 90.00 90.00°
With the nearest neighbours (Å) after each atom.
Positions (direct):
K 0.0000 0.0000 0.0000  4 I 2.96, 2 Sb 3.06
Hf 0.5000 0.5000 0.5000  4 Sb 4.18, 8 I 4.26
I 0.0000 0.5000 0.0000  2 K 2.96
Sb 0.0000 0.0000 0.5000  2 K 3.06
I 0.5000 0.0000 0.0000  2 K 2.96

Computed properties:
SG: No. 123
Calculated density, Mg/m³: 4.6

Arrangement x

Computed, not measured: an optimized crystal structure of KHfSbI2 at the PBE-GGA level of DFT.

Cell: 5.8864 5.8864 5.5664 Å, 90.00 90.00 90.00°
With the nearest neighbours (Å) after each atom.
Positions (direct):
Hf 0.0000 0.0000 0.0000  2 Sb 2.78, 4 I 2.94
K 0.5000 0.5000 0.5000  8 I 4.05, 4 Sb 4.16
I 0.5000 0.0000 0.0000  2 Hf 2.94
I 0.0000 0.5000 0.0000  2 Hf 2.94
Sb 0.0000 0.0000 0.5000  2 Hf 2.78

Computed properties:
SG: No. 123
Calculated density, Mg/m³: 5.1

Stability check: which of them is least stable? arrangement w.

----------

Entry 1:
Entry from the Open Quantum Materials Database: InCoAgSe2S after structural relaxation (PBE).

The structure in CIF format:
```
data_InCoAgSe2S
_symmetry_space_group_name_H-M 'C m c m'
_symmetry_Int_Tables_number 63
_symmetry_space_group_name_Hall '-C 2c 2'
_cell_length_a 3.607
_cell_length_b 15.428
_cell_length_c 9.425
_cell_angle_alpha 90.00
_cell_angle_beta 90.00
_cell_angle_gamma 90.00
loop_
_atom_site_label
_atom_site_type_symbol
_atom_site_fract_x
_atom_site_fract_y
_atom_site_fract_z
_atom_site_occupancy
In1 In 0.000 0.155 0.250 1
Co1 Co 0.000 0.500 0.000 1
Ag1 Ag 0.000 0.200 0.750 1
Se1 Se 0.000 0.101 0.529 1
S1 S 0.000 0.466 0.750 1
```

## Properties
**Total energy**: -99.22 eV/cell
**Calculated volume**: 21.86 Å³/atom


Entry 2:
Entry from the Open Quantum Materials Database: InCoAgTeS2 after structural relaxation (PBE).

The structure in CIF format:
```
data_InCoAgTeS2
_symmetry_space_group_name_H-M 'C m c m'
~~~

10-16-2008, 06:01 AM
You see, I don't get that feeling at all. And the pictures on the ebay listing look VERY good.

Easy Rider
10-16-2008, 09:44 AM
You see, I don't get that feeling at all. And the pictures on the ebay listing look VERY good.

In the end, you are going to have to do what YOU think is right.
I would never entertain thoughts of actually buying anything used without actually SEEING it and at least hearing it run.
Not having the benefit of even seeing the pictures............it is hard to make an intelligent comment ! :)

10-16-2008, 11:19 AM
Oh, geez, I hope I didn't make you all think I was gonna buy it sight unseen. I had planned on taking a look at it this afternoon, but its raining, so it will have to wait until tomorrow. The bike is located in the city where I go to college.

On a side note, I'm also gonna take a look at an 85 Honda Interceptor project bike.

10-16-2008, 02:36 PM
Do a Google search, read some of the articles, comments, reviews on this bike and get a little more knowledge about it, see what you are getting into before committing to it. It may be the greatest thing for you, but a little knowledge gained beforehand never hurts, and read the article posted on here about buying a used bike. It may save you some trouble later and help in the bargaining, or after you look it over (knowing what to look for) may help you reach a decision on some level other than an emotional one.

Water Warrior 2
10-16-2008, 08:08 PM
Might be a nice upgrade in size. I would check out prices for tires, chain/sprockets, brakes, tune up etc. I have this thing about buying used if I don't know the bike/cage but that is just me. Anything you buy used will cost more to be safe and reliable after you get it home. A 4 lung 600 would certainly be a hoot to ride. Almost 50 ponies in the stable to unlease. Oh yah, try to check out parts availability for a bike of this age. You never know.

10-16-2008, 08:52 PM
Parts: Yea, that was one of the first things I checked. I perused BikeBandit.com's OEM parts and, one the microfiches that I looked at for the Seca II, they seemed to have plenty of parts. I should also be able to find tires pretty easily. The rear tire is difficult to find, but on a Seca forum I found some alternative sizes that people have had success with. I can get Kenda tires for about $70/each; not bad considering the rear tire for the GZ set me back $130.

I do need to check on the chain, though. I'm glad you mentioned that.

I'm gonna try to check the bike out tomorrow, if the guy ever calls me back. Right now the auction is at $630, so I'm hoping I can snatch it up for under a grand. That will give me plenty of breathing room for parts, repairs, etc.

BTW, here is the auction: http://cgi.ebay.com/ebaymotors/Motorcyc ... 06.c0.m245 (http://cgi.ebay.com/ebaymotors/Motorcycles___Red-1993-Yamaha-Seca-II_W0QQitemZ120316875937QQddnZMotorcyclesQQddiZ228 3QQcmdZViewItem?hash=item120316875937&_trkparms=39%3A1|65%3A7|240%3A1318&_trksid=p4506.c0.m245)